Fish and more fish…Ernie sighting and Middle could pop his crop!

24 October 2022

It is just past 2300 on the Canadian Prairies on Sunday evening the 23rd of October. Within the hour we are supposed to have the beginning of thunderstorms that are forecast to last through all of Monday. We could use the moisture. It is always good when the trees and shrubs get a really good soaking before the ground freezes.

And we did. The thunder boomed throughout the nite and everything is soaked this morning. The wind is gusting and there are few birds at the feeders. The only ones that appear to be nonplussed by it are the Blue Jays. What a change from yesterday when the sparrows and finches were splashing about in the bird bath. Today they are hiding at their roost.

It is always great to get a picture of Ernie, everyone’s favourite Port Lincoln Osprey. This image was taken by Pam Hewstone and posted on Fiends of Osprey FB page. His tracking indicates that Ernie continues to hang around the Main Wharf and the ‘silos’. This image was taken at Delamare Beach where Ernie and Dad like to fish together. Oh, he looks so good. Can’t see how that talon is growing back in but, it looks like Ernie is having no problem catching good sized fish. He already has a nice-sized crop.

Friends of Ospreys have been erecting Osprey platforms. You might recall they put in place one on Turnby Island for the bonded couple whose eggs were always predated when they laid them on the ground. Sadly, the two eggs the couple laid this year are now 45 and 46 days old and deemed unviable.

Monday was a really good day at Port Lincoln. What a joy to watch Middle be able to enjoy a meal without once being beaked by Big. Ironically, if you just started to watch this Osprey nest and knew nothing of the background and what happened a little over a week ago, you will talk about how calming it is to watch the ospreys fed by Mum. Big is 36 days old and Middle is now 35 days old.

So far there have been three feedings on Monday at Port Lincoln. There will be more at all of the nests as Canada slips into evening and darkness.

They came at 06:57:57. That was a flat striped fish. The second fish was at 0908. Middle Bob got the lion’s share of that fish and waddled away with a big crop. The third fish landed on the nest at 13:07:52. It was a huge fish. Mum and the two ospreys are going to eat well. So far Middle is doing well and the last I checked he was already getting a nice crop. Just brilliant.

Middle is the chick closest to the viewer. Notice that nice crop. Just look at how much of that fish is left. Everyone is going to have a good feed — including Mum! Thank goodness.

Seriously. Did you think you would ever see Middle with a crop like the one he has on display?? And just look at Mum. The two ospreys full and she is finally getting to enjoy a fish lunch, too.

For two days now this nest has been calm. It took Big 33 days, not 28-30 to settle but, in the end, she did. Grateful.

Middle and Big are at the age that Mum can now roost over on the ropes if she wishes.

Middle and Big do a lot of preening all day long keeping those feathers that are coming in good shape. Oh, didn’t you love it when they left that Reptilian stage and got this gorgeous plumage that is coming in. ‘R’ and I decided awhile ago that the juvenile Osprey plumage is much prettier than the adults.

Rubus and Indigo have had their second feeding. Xavier flew in with what looked like a Rainbow Lorikeet to me – and I will happily change that. It is the closest I could come to identifying that multi-coloured prey item that Xavier brought to the scrape at 092921. Oh, Rubus was ravenous. I have no idea where this eyas puts all of this prey but this wee one sure has an appetite! Xavier does a great job feeding his babies. Diamond doesn’t arrive for 12 minutes- the feeding is almost over. Xavier fed both Rubus and Indigo nice big bites.

A nice big pigeon arrived at 11:40 – all part of a crash landing by Dad (?) into the scrape box. Everyone had their fill and immediately starting working on those leg and wing muscles. ‘H’ notes that Dad fed them for 12 minutes while eating himself for about 25% of the time.

There was once again 5 feedings at the 367 Collins Street scrape yesterday. They came at 0634. That feeding lasted 18 minutes. A second feeding was at 1120 for 16 minutes then the 3rd hot on the heels of the second at 1140. Then there was a break with the 4th feeding at 1707. The Melbourne Four ate well. Then Mum came in with a pigeon at 1859 and looked around and only fed for about 1.5 minutes. ‘H’ thank you for the times and the notes. Mum and Dad need to coordinate their delivery times!!!!!!!!

It is now past midnight. The day is halfway over at our Australian nests. Everyone is doing fantastic. The Melbourne Four are growing faster than any good weed in your garden! Rubus continues to bug Indigo by following her everywhere. Such a sweet character. Most of all Middle is a confident Osprey. That nest is just so satisfying to watch now. I do hope that it continues. The banding of Big and Middle will take place in about 3 weeks.

In migration news, there are no new transmissions from Karl II and Kaia. Last time we heard from them Karl II was near Aswan in Egypt and Kaia was in Chad. I can also not find any new information on Bonus who has spent much time in Romania. The real news has come from little Waba who was in Turkey, flew near to Beirut and is now in Israel and has been feeding at some fishponds there.

While it is expected that there will be little transmissions coming from certain areas in Africa, I really do hope that we hear from Bonus soon.

The Bald Eagles are continuing to do their nest building. For those who watched Little Bit ND17 at the Bald Eagle nest in St Joseph’s Park in South Bend, Indiana, both Mum and Dad have been working on that nest. They are making slow progress. Harriet and M15 are doing a terrific job. Both couples lost their nests – Harriet and M15 in Hurricane Ian and the nest at Norte-Dame just fell apart. It is amazing what eagles can do in a short period of time. An adult has been on the perch at the Achieva Osprey nest in St Petersburg. I could not see its head to determine any markings. That nest is going to need a lot of work. In Redding, California, Liberty and Guardian are also working on their nest. Liberty has been using this nest for 18 breeding seasons. She has fledged 26 eaglets and has had 3 mates. Liberty is 24 years old and Guardian is 9 years old. Bald Eagle season is not far away!

Thank you so much for joining me. Take care. See you soon!

Thank you to the following for their streaming cams where I took my screen captures: Friends of Osprey and Pam Hewstone, Port Lincoln Osprey, 367 Collins Street by Mirvac, Looduskalender, and Charles Stuart Falcon Cam and Cilla Kinross.

Great News for Karl II and family

There was quite a bit of worry a couple of days ago when there had beern no transmissions received from Karl II, Udu, or Pikne.

Karl II, 2021
Karl II and his mate, Kaia, 2021
Karl II with his and Kaia’s three chicks in the nest in the Karula National Forest, Estonia, 2021. Of the three, Udu and Pikne survived. Tuul sadly passed.

Sometimes we just have to trust and hope that the birds are alright. One of the best ways to keep the GPS trackers very light weight is to power them by the sun. Even in the Mediterranean, the sun does not always shine and the batteries can run very low and need a charge OR the birds can be outside of an areas with signals OR both. Today, we are going to celebrate! Just look at the tracking below for Karl II, Udu, and Pikne, the Black Storks from the Karula Forest in Estonia. Tears.

Ladies first today. Pikne is in the Eastern Desert of either Ethiopia or Eritrea and is currently out of signalling range. She has moved and is making great time!

The Eastern Desert is simply the area of the Sahara Desert on the east side of the Nile River. It is sometimes called the Red Sea Hills. There are mountains as well as the coastal waters along the Nile. The area is known for its beautiful clear waters and excellent scuba diving.

“Nile Class Sailing boat & Tridentte 16 on the Red Sea Egypt” by Sierragoddess is licensed under CC BY-ND 2.0

Udu successfully crossed the Mediterranean and is now in the Western Desert of Egypt. So, Udu is west of the Nile River. That is incredible news. It is extremely challenging for the birds to cross the Mediterranean Sea and this fledgling did it on his first trip. What a strong bird Udu is!

“P5010091c Gilf Kebir. View at the top. Western Desert, Egypt. 1st May 2006” by Paul Ealing 2011 is licensed under CC BY-NC-SA 2.0

Dad may have stayed around the Baltic Sea for awhile but he has really moved and look – he is at the Merave Reservoir in Sudan along the Nile River. He is alive!

“Nile River at Sunset, Sudan” by valerian.guillot is licensed under CC BY 2.0

The whole family is safe. What an incredible relief for everyone.

• Misplaced records of crystals:
********
# V3P6WO24
Theoretical X-ray powder pattern, Cu Ka. Input: a crystal structure in Alexandria, relaxed with PBE+U.
Lines closer than 0.1° are merged.

Main lines, by intensity (10 to 80 degrees two-theta):
index	2θ/deg	d_spacing	intensity
1 1 3	24.03	3.704	100
1 0 4	20.12	4.414	99
0 1 2	14.39	6.157	80
2 -1 6	32.13	2.786	72
0 2 4	29.00	3.079	67
1 1 0	20.68	4.296	62
1 0 1	12.56	7.046	41
2 1 4	35.89	2.502	24
3 0 0	36.22	2.480	23
2 1 10	52.94	1.729	21
2 2 6	49.20	1.852	19
1 4 0	56.70	1.624	19

Structural model:
abc: 8.5913 8.5913 21.9331
angles: 90.00 90.00 120.00
Space group R3 (No. 146, hexagonal axes)
Asymmetric unit:
V 0.0000 0.0000 0.0000 x3
V 0.0000 0.0000 0.2157 x3
V 0.0000 0.0000 0.5014 x3
P 0.0022 0.2888 0.6055 x9
P 0.0048 0.7234 0.1085 x9
W 0.0000 0.0000 0.7161 x3
O 0.0167 0.8256 0.7661 x9
O 0.0215 0.8240 0.0493 x9
O 0.0425 0.2042 0.5509 x9
O 0.0474 0.2044 0.2660 x9
O 0.1603 0.4753 0.3311 x9
O 0.1603 0.4776 0.6150 x9
O 0.1728 0.7080 0.1171 x9
O 0.1769 0.7145 0.8303 x9


Theoretical powder XRD pattern of SmMgPtO4 for Cu Kα (weighted mean of Kα1 and Kα2), from DFT lattice parameters and positions (PBE).
Lines closer than 0.1° are merged.

Cell and atoms:
```
data_SmMgPtO4
_cell_length_a 6.578
_cell_length_b 6.578
_cell_length_c 6.578
_cell_angle_alpha 124.20
_cell_angle_beta 115.67
_cell_angle_gamma 90.26
_space_group_name_H-M_alt 'P 1'
_space_group_IT_number 1
loop_
_space_group_symop_operation_xyz
'x,y,z'
loop_
_atom_site_label
_atom_site_fract_x
_atom_site_fract_y
_atom_site_fract_z
Sm1 0.000 0.000 0.000
Sm2 0.500 0.000 0.500
Mg1 0.451 0.701 0.750
Mg2 0.549 0.299 0.250
Pt1 0.000 0.000 0.500
Pt2 0.000 0.500 0.000
O1 0.178 0.743 0.435
O2 0.191 0.257 0.935
O3 0.342 0.311 0.469
O4 0.342 0.872 0.031
O5 0.658 0.128 0.969
O6 0.658 0.689 0.531
O7 0.809 0.743 0.065
O8 0.822 0.257 0.565
```

Peak list (12 most intense, 5° ≤ 2θ ≤ 70°, by angle)
| 2θ (°) | d (Å) | I/Imax |
| --- | --- | --- |
| 15.9 | 5.590 | 100.0 |
| 17.3 | 5.130 | 70.4 |
| 30.9 | 2.892 | 36.5 |
| 31.6 | 2.830 | 37.6 |
| 32.0 | 2.795 | 77.0 |
| 33.2 | 2.696 | 45.4 |
********

People in New Zealand and all the followers of Tiaki, the Royal Albatross Cam Princess for 2021, can also celebrate. She has reached the waters off the coast of Chile.

Another tracker that has been on the ‘fritz’ is Solly, the 2020 female fledgling from the Port Lincoln Osprey Barge. People were also getting worried, just like they did for Karl II and his two children. But all is well with Solly, too. She is still staying at her favourite tree at Eba Anchorage.

In a week or so, one or all of the three Bobs at the Port Lincoln Osprey barge will be fitted with a tracker like Solly. It is going to be so interesting to follow their travels and to see where those wings take them to fish and live.

Here is a great article on the use and benefits of satellite telemetry to study birds and their migration. It was written in 2012 but everything still applies today.

It is raining on the Canadian Prairies just like it has been in Melbourne and Port Lincoln. Even so, the birds were fed and all are well. The falcons at Melbourne learned about thunder and lightning! It is hard to imagine but we will be on fledge watch in two weeks for those four running up and down the gutter – and the week after that we will be expecting Yurruga to fledge. My, my. Time passes so quickly.

Thank you for joining me today. For those of you who did get to see Season of the Osprey, drop me a line and tell me what you think. Take care all. Stay warm and dry and safe.

Thank you to the Port Lincoln Osprey FB page for the figure showing where Solly is, for the NZ DOC and Wildlife Computers for the tracking of Tiaki, and to the Eagle Club of Estonia for its Forum page and its streaming cam where I took screen grabs of the family and the map showing where Karl and his family are currently located.

Yesterday at the Nature Centre

The people in our local weather office are saying that our temperatures are back to their seasonal norm today. It is 14 degrees C, not 31 C! The sky is grey, it feels damp but no rain is forecast.

It seems that yesterday was the perfect day for a walk at the Fort Whyte Nature Centre. There are Canada Geese and Cackling Geese all over the grounds – on the paths, in the water, even peering into the Interpretative Centre.

The trees are bursting with fall colours.

It was simply a glorious day. You could ‘smell’ autumn.

The nest boxes are all empty waiting for spring to arrive next year.

This little female Mallard was hiding along the shore in the trees away from all the ones that were dabbling on the other side of the pond.

There was certainly a lot of dabbling going on.

I love how this one uses the orange paddles to turn them around in the water. It was amazing to watch.

As late afternoon approached, there were six American White Pelicans that flew in along with a myriad of geese. By evening all of the ponds and fields will be covered.

Despite the fact that a beautiful fall day is a reminder of winter to come, it remains my favourite season. The colours of the leaves are just stunning.


The geese will continue to arrive until the third week in October when most will have migrated south for the winter. Today, Blackbirds are filling in the ponds of the City (or so I am told and from pictures I have seen). There are meeting or marshalling points where the birds wait for the others to arrive before migrating in mass.

With the change in weather, there will be more birds moving through our City on the way to warmer climates. Migration is a huge challenge – finding safe places to stop, water, a good food source – it is not easy for the birds to take on these thousands and thousands of kilometres. We hope that each arrives safely at their destination.

Thank you for joining me. Have a wonderful Friday.